Wanted =
Give back everything below with every line break kept.

Entries =
=====
No. 1
{
  "formula": "C5H15N2O2",
  "method": "ωB97M-V/def2-TZVPD",
  "elements": ["C", "C", "C", "C", "C", "N", "N", "O", "O", "H", "H", "H", "H", "H", "H", "H", "H", "H", "H", "H", "H", "H", "H", "H"],
  "coordinates": [[1.22577, -1.90853, -0.81845], [2.05758, 0.39519, -0.56226], [-2.43301, -1.11201, -0.33571], [-1.22507, 2.03022, 0.56596], [-0.35794, 0.07514, -0.07564], [0.97611, 0.71933, 2.00717], [0.86826, -0.48209, -0.95430], [-1.14760, -0.80042, 0.39158], [-0.66166, 1.25910, -0.45558], [0.32676, -2.46125, -0.84444], [1.78803, -2.16374, -1.61047], [1.69752, -2.17409, 0.16275], [1.91026, 0.68830, 0.41846], [2.97467, -0.01782, -0.96672], [1.94639, 1.33762, -1.13948], [-2.86500, -0.20652, -0.67910], [-2.95828, -1.59480, 0.41996], [-2.23871, -1.76494, -1.14508], [-0.82854, 1.70466, 1.52899], [-2.29166, 2.04209, 0.62679], [-0.94380, 3.10135, 0.38175], [0.72373, 1.69212, 2.28392], [0.78217, -0.00829, 2.73435], [0.67402, -0.35065, -1.93445]],
  "forces_ev_per_a": [[-1.742, 0.420, 3.898], [-0.423, 1.159, -4.187], [1.667, 0.704, 0.427], [-0.042, 2.999, 1.129], [3.737, -1.271, 0.676], [-0.032, -0.434, -0.076], [0.181, 1.253, 1.695], [-1.647, -1.391, -0.212], [-0.159, 0.495, -1.484], [-1.053, -0.753, -0.155], [2.259, -0.853, -2.618], [-0.197, 0.756, -0.944], [0.538, -0.296, 2.204], [0.089, -0.482, 0.631], [-0.126, -0.459, 0.155], [-0.518, 0.802, -0.132], [-1.280, -0.694, 1.022], [0.374, -0.690, -0.804], [-0.232, 0.016, -0.291], [-0.816, -0.552, -0.396], [-0.040, -1.055, 0.067], [0.061, -1.317, 0.413], [-0.284, 1.253, -0.521], [-0.318, 0.392, -0.497]],
  "lumo_ev": [-4.18, -3.54],
  "total_charge": 1,
  "largest_force_ev_per_a": 4.37,
  "e_tot_ha": -459.048222,
  "homo_ev": [-11.7, -13.5],
  "orbital_gap_ev": [7.5, 10.0]
}

No. 2
{
  "formula": "C10H12O2Tl",
  "method": "ωB97M-V/def2-TZVPD",
  "elements": ["C", "C", "C", "C", "C", "C", "C", "O", "C", "O", "C", "C", "H", "H", "H", "H", "H", "H", "H", "H", "H", "H", "H", "H", "Tl"],
  "coordinates": [[4.02848, -1.05722, 0.11792], [2.64822, -0.35907, 0.02104], [1.81668, -0.66168, -1.22550], [0.49150, -0.03579, -1.30239], [-0.01157, 0.92816, -0.13632], [-1.47139, 1.52394, -0.31661], [-2.50598, 0.41158, 0.30801], [-3.84658, 0.68399, -0.07395], [-4.53735, -0.59439, 0.02510], [-5.04500, -0.93799, 1.03401], [0.82139, 1.24044, 1.07797], [2.15593, 0.59967, 1.14813], [4.48636, -1.05332, -0.91653], [4.64838, -0.51682, 0.88299], [3.92140, -2.15739, 0.41251], [2.19263, -1.33128, -2.05227], [-0.14745, -0.27016, -2.20196], [-1.63752, 1.64776, -1.43303], [-1.51798, 2.49763, 0.24751], [-2.47691, 0.37509, 1.43413], [-2.19928, -0.57838, -0.18140], [-4.51123, -1.24468, -0.90726], [0.44196, 1.92137, 1.89557], [2.79775, 0.80992, 2.05599], [-0.54244, -1.84137, 0.08635]],
  "forces_ev_per_a": [[-1.398, 1.510, 0.195], [0.556, -0.703, -0.967], [-2.042, 2.611, 1.414], [3.746, -0.760, 0.528], [-1.198, 1.130, 0.204], [2.856, -0.371, -0.011], [-1.605, 0.236, -0.420], [1.904, -0.811, 0.255], [-1.068, -1.239, 0.216], [0.649, 0.754, -0.898], [2.322, -2.379, -1.497], [-2.931, 0.942, -0.842], [-0.320, -0.109, 0.925], [-0.369, -0.756, -0.724], [-0.020, 0.973, -0.249], [-0.308, 0.808, 1.062], [0.491, 0.709, 0.953], [-0.201, -0.201, 1.308], [-0.286, -0.983, -0.480], [0.537, 0.039, -0.942], [-0.892, 1.271, 0.505], [0.062, 1.054, 0.585], [0.450, -0.800, -1.061], [-0.533, -0.386, -1.248], [-0.406, -2.539, 1.192]],
  "lumo_ev": -17.10,
  "total_charge": 3,
  "largest_force_ev_per_a": 3.86,
  "e_tot_ha": -709.744904,
  "homo_ev": -20.6,
  "orbital_gap_ev": 3.5
}

No. 3
{
  "formula": "C2H4ClFN2",
  "method": "ωB97M-V/def2-TZVPD",
  "elements": ["N", "N", "C", "C", "F", "Cl", "H", "H", "H", "H"],
  "coordinates": [[-1.63023, 0.31673, 0.31431], [-1.16376, -0.81889, -0.27246], [0.10764, -0.97406, -0.28455], [1.02725, 0.16025, 0.19443], [0.75355, 1.33526, -0.50285], [2.69470, -0.19800, -0.01083], [-2.39813, 0.63053, -0.26966], [-0.89877, 1.04133, 0.24357], [0.54844, -1.88324, -0.68223], [0.95930, 0.39010, 1.27028]],
=====

Result =
No. 1
{
  "formula": "C5H15N2O2",
  "method": "ωB97M-V/def2-TZVPD",
  "elements": ["C", "C", "C", "C", "C", "N", "N", "O", "O", "H", "H", "H", "H", "H", "H", "H", "H", "H", "H", "H", "H", "H", "H", "H"],
  "coordinates": [[1.22577, -1.90853, -0.81845], [2.05758, 0.39519, -0.56226], [-2.43301, -1.11201, -0.33571], [-1.22507, 2.03022, 0.56596], [-0.35794, 0.07514, -0.07564], [0.97611, 0.71933, 2.00717], [0.86826, -0.48209, -0.95430], [-1.14760, -0.80042, 0.39158], [-0.66166, 1.25910, -0.45558], [0.32676, -2.46125, -0.84444], [1.78803, -2.16374, -1.61047], [1.69752, -2.17409, 0.16275], [1.91026, 0.68830, 0.41846], [2.97467, -0.01782, -0.96672], [1.94639, 1.33762, -1.13948], [-2.86500, -0.20652, -0.67910], [-2.95828, -1.59480, 0.41996], [-2.23871, -1.76494, -1.14508], [-0.82854, 1.70466, 1.52899], [-2.29166, 2.04209, 0.62679], [-0.94380, 3.10135, 0.38175], [0.72373, 1.69212, 2.28392], [0.78217, -0.00829, 2.73435], [0.67402, -0.35065, -1.93445]],
  "forces_ev_per_a": [[-1.742, 0.420, 3.898], [-0.423, 1.159, -4.187], [1.667, 0.704, 0.427], [-0.042, 2.999, 1.129], [3.737, -1.271, 0.676], [-0.032, -0.434, -0.076], [0.181, 1.253, 1.695], [-1.647, -1.391, -0.212], [-0.159, 0.495, -1.484], [-1.053, -0.753, -0.155], [2.259, -0.853, -2.618], [-0.197, 0.756, -0.944], [0.538, -0.296, 2.204], [0.089, -0.482, 0.631], [-0.126, -0.459, 0.155], [-0.518, 0.802, -0.132], [-1.280, -0.694, 1.022], [0.374, -0.690, -0.804], [-0.232, 0.016, -0.291], [-0.816, -0.552, -0.396], [-0.040, -1.055, 0.067], [0.061, -1.317, 0.413], [-0.284, 1.253, -0.521], [-0.318, 0.392, -0.497]],
  "lumo_ev": [-4.18, -3.54],
  "total_charge": 1,
  "largest_force_ev_per_a": 4.37,
  "e_tot_ha": -459.048222,
  "homo_ev": [-11.7, -13.5],
  "orbital_gap_ev": [7.5, 10.0]
}

No. 2
{
  "formula": "C10H12O2Tl",
  "method": "ωB97M-V/def2-TZVPD",
  "elements": ["C", "C", "C", "C", "C", "C", "C", "O", "C", "O", "C", "C", "H", "H", "H", "H", "H", "H", "H", "H", "H", "H", "H", "H", "Tl"],
  "coordinates": [[4.02848, -1.05722, 0.11792], [2.64822, -0.35907, 0.02104], [1.81668, -0.66168, -1.22550], [0.49150, -0.03579, -1.30239], [-0.01157, 0.92816, -0.13632], [-1.47139, 1.52394, -0.31661], [-2.50598, 0.41158, 0.30801], [-3.84658, 0.68399, -0.07395], [-4.53735, -0.59439, 0.02510], [-5.04500, -0.93799, 1.03401], [0.82139, 1.24044, 1.07797], [2.15593, 0.59967, 1.14813], [4.48636, -1.05332, -0.91653], [4.64838, -0.51682, 0.88299], [3.92140, -2.15739, 0.41251], [2.19263, -1.33128, -2.05227], [-0.14745, -0.27016, -2.20196], [-1.63752, 1.64776, -1.43303], [-1.51798, 2.49763, 0.24751], [-2.47691, 0.37509, 1.43413], [-2.19928, -0.57838, -0.18140], [-4.51123, -1.24468, -0.90726], [0.44196, 1.92137, 1.89557], [2.79775, 0.80992, 2.05599], [-0.54244, -1.84137, 0.08635]],
  "forces_ev_per_a": [[-1.398, 1.510, 0.195], [0.556, -0.703, -0.967], [-2.042, 2.611, 1.414], [3.746, -0.760, 0.528], [-1.198, 1.130, 0.204], [2.856, -0.371, -0.011], [-1.605, 0.236, -0.420], [1.904, -0.811, 0.255], [-1.068, -1.239, 0.216], [0.649, 0.754, -0.898], [2.322, -2.379, -1.497], [-2.931, 0.942, -0.842], [-0.320, -0.109, 0.925], [-0.369, -0.756, -0.724], [-0.020, 0.973, -0.249], [-0.308, 0.808, 1.062], [0.491, 0.709, 0.953], [-0.201, -0.201, 1.308], [-0.286, -0.983, -0.480], [0.537, 0.039, -0.942], [-0.892, 1.271, 0.505], [0.062, 1.054, 0.585], [0.450, -0.800, -1.061], [-0.533, -0.386, -1.248], [-0.406, -2.539, 1.192]],
  "lumo_ev": -17.10,
  "total_charge": 3,
  "largest_force_ev_per_a": 3.86,
  "e_tot_ha": -709.744904,
  "homo_ev": -20.6,
  "orbital_gap_ev": 3.5
}

No. 3
{
  "formula": "C2H4ClFN2",
  "method": "ωB97M-V/def2-TZVPD",
  "elements": ["N", "N", "C", "C", "F", "Cl", "H", "H", "H", "H"],
  "coordinates": [[-1.63023, 0.31673, 0.31431], [-1.16376, -0.81889, -0.27246], [0.10764, -0.97406, -0.28455], [1.02725, 0.16025, 0.19443], [0.75355, 1.33526, -0.50285], [2.69470, -0.19800, -0.01083], [-2.39813, 0.63053, -0.26966], [-0.89877, 1.04133, 0.24357], [0.54844, -1.88324, -0.68223], [0.95930, 0.39010, 1.27028]],